What is needed: restate the whole of the material further down character by character.
<<<
(1)
Diffraction record for CaPuSeO2. The XRD peak list is theoretical, not measured: it uses a structure optimized by DFT (PBE) and Cu Kα, 1.54184 Å.
Neutral-atom scattering factors, no anomalous dispersion.

```
data_CaPuSeO2
_space_group_name_H-M_alt 'I 4 m m'
_space_group_IT_number 107
_space_group_name_Hall 'I 4 -2'
_cell_length_a 3.8571
_cell_length_b 3.8571
_cell_length_c 12.1731
_cell_angle_alpha 90.00
_cell_angle_beta 90.00
_cell_angle_gamma 90.00
loop_
_atom_site_label
_atom_site_type_symbol
_atom_site_fract_x
_atom_site_fract_y
_atom_site_fract_z
_atom_site_occupancy
Ca1 Ca 0.0000 0.0000 0.0000 1
Pu1 Pu 0.0000 0.0000 0.3091 1
Se1 Se 0.0000 0.0000 0.6552 1
O1 O 0.0000 0.5000 0.3924 1
```

Most intense lines, 2θ = 10–80°, most intense first:
h k l, 2theta, I_rel
1 0 3, 32.01, 100.0
1 0 1, 24.21, 48.5
0 0 2, 14.55, 46.5
2 1 3, 58.12, 42.1
1 1 0, 32.84, 39.2
1 1 6, 56.53, 26.4
2 0 0, 47.12, 20.6
0 0 6, 44.63, 20.2
1 1 2, 36.09, 18.0
1 0 5, 43.98, 13.3

(2)
Diffraction record for CaSm2PuO8. The XRD peak list is theoretical, not measured: it uses a structure optimized by DFT (PBE) and Cu Kα, 1.54184 Å.
Neutral-atom scattering factors, no anomalous dispersion.

```
data_CaSm2PuO8
_space_group_name_H-M_alt 'P 1 2/m 1'
_space_group_IT_number 10
_cell_length_a 4.1027
_cell_length_b 7.5645
_cell_length_c 5.3832
_cell_angle_alpha 90.00
_cell_angle_beta 96.40
_cell_angle_gamma 90.00
loop_
_space_group_symop_operation_xyz
'x,y,z'
'-x,-y,-z'
'-x,y,-z'
'x,-y,z'
loop_
_atom_site_label
_atom_site_type_symbol
_atom_site_fract_x
_atom_site_fract_y
_atom_site_fract_z
_atom_site_occupancy
Ca1 Ca 0.0000 0.0000 0.0000 1
Sm1 Sm 0.5000 0.2475 0.5000 1
Pu1 Pu 0.0000 0.5000 0.0000 1
O1 O 0.0457 0.2916 0.7640 1
O2 O 0.4332 0.5000 0.2194 1
O3 O 0.4922 0.0000 0.2556 1
```

Most intense lines, 2θ = 10–80°, most intense first:
h k l, 2theta, I_rel
1 0 1, 28.93, 100.0
1 0 -1, 25.96, 43.1
0 1 0, 11.70, 31.9
1 2 0, 32.28, 30.9
1 2 -2, 45.29, 28.1
1 2 2, 49.08, 21.1
0 2 3, 57.13, 19.6
0 1 1, 20.33, 19.2
2 0 0, 44.44, 14.4
1 1 0, 24.81, 13.4

Please write out number 1 again, unchanged.
Diffraction record for CaPuSeO2. The XRD peak list is theoretical, not measured: it uses a structure optimized by DFT (PBE) and Cu Kα, 1.54184 Å.
Neutral-atom scattering factors, no anomalous dispersion.

```
data_CaPuSeO2
_space_group_name_H-M_alt 'I 4 m m'
_space_group_IT_number 107
_space_group_name_Hall 'I 4 -2'
_cell_length_a 3.8571
_cell_length_b 3.8571
_cell_length_c 12.1731
_cell_angle_alpha 90.00
_cell_angle_beta 90.00
_cell_angle_gamma 90.00
loop_
_atom_site_label
_atom_site_type_symbol
_atom_site_fract_x
_atom_site_fract_y
_atom_site_fract_z
_atom_site_occupancy
Ca1 Ca 0.0000 0.0000 0.0000 1
Pu1 Pu 0.0000 0.0000 0.3091 1
Se1 Se 0.0000 0.0000 0.6552 1
O1 O 0.0000 0.5000 0.3924 1
```

Most intense lines, 2θ = 10–80°, most intense first:
h k l, 2theta, I_rel
1 0 3, 32.01, 100.0
1 0 1, 24.21, 48.5
0 0 2, 14.55, 46.5
2 1 3, 58.12, 42.1
1 1 0, 32.84, 39.2
1 1 6, 56.53, 26.4
2 0 0, 47.12, 20.6
0 0 6, 44.63, 20.2
1 1 2, 36.09, 18.0
1 0 5, 43.98, 13.3

What did the first record say?
Diffraction record for CaPuSeO2. The XRD peak list is theoretical, not measured: it uses a structure optimized by DFT (PBE) and Cu Kα, 1.54184 Å.
Neutral-atom scattering factors, no anomalous dispersion.

```
data_CaPuSeO2
_space_group_name_H-M_alt 'I 4 m m'
_space_group_IT_number 107
_space_group_name_Hall 'I 4 -2'
_cell_length_a 3.8571
_cell_length_b 3.8571
_cell_length_c 12.1731
_cell_angle_alpha 90.00
_cell_angle_beta 90.00
_cell_angle_gamma 90.00
loop_
_atom_site_label
_atom_site_type_symbol
_atom_site_fract_x
_atom_site_fract_y
_atom_site_fract_z
_atom_site_occupancy
Ca1 Ca 0.0000 0.0000 0.0000 1
Pu1 Pu 0.0000 0.0000 0.3091 1
Se1 Se 0.0000 0.0000 0.6552 1
O1 O 0.0000 0.5000 0.3924 1
```

Most intense lines, 2θ = 10–80°, most intense first:
h k l, 2theta, I_rel
1 0 3, 32.01, 100.0
1 0 1, 24.21, 48.5
0 0 2, 14.55, 46.5
2 1 3, 58.12, 42.1
1 1 0, 32.84, 39.2
1 1 6, 56.53, 26.4
>>>
(1)
Diffraction record for CaPuSeO2. The XRD peak list is theoretical, not measured: it uses a structure optimized by DFT (PBE) and Cu Kα, 1.54184 Å.
Neutral-atom scattering factors, no anomalous dispersion.

```
data_CaPuSeO2
_space_group_name_H-M_alt 'I 4 m m'
_space_group_IT_number 107
_space_group_name_Hall 'I 4 -2'
_cell_length_a 3.8571
_cell_length_b 3.8571
_cell_length_c 12.1731
_cell_angle_alpha 90.00
_cell_angle_beta 90.00
_cell_angle_gamma 90.00
loop_
_atom_site_label
_atom_site_type_symbol
_atom_site_fract_x
_atom_site_fract_y
_atom_site_fract_z
_atom_site_occupancy
Ca1 Ca 0.0000 0.0000 0.0000 1
Pu1 Pu 0.0000 0.0000 0.3091 1
Se1 Se 0.0000 0.0000 0.6552 1
O1 O 0.0000 0.5000 0.3924 1
```

Most intense lines, 2θ = 10–80°, most intense first:
h k l, 2theta, I_rel
1 0 3, 32.01, 100.0
1 0 1, 24.21, 48.5
0 0 2, 14.55, 46.5
2 1 3, 58.12, 42.1
1 1 0, 32.84, 39.2
1 1 6, 56.53, 26.4
2 0 0, 47.12, 20.6
0 0 6, 44.63, 20.2
1 1 2, 36.09, 18.0
1 0 5, 43.98, 13.3

(2)
Diffraction record for CaSm2PuO8. The XRD peak list is theoretical, not measured: it uses a structure optimized by DFT (PBE) and Cu Kα, 1.54184 Å.
Neutral-atom scattering factors, no anomalous dispersion.

```
data_CaSm2PuO8
_space_group_name_H-M_alt 'P 1 2/m 1'
_space_group_IT_number 10
_cell_length_a 4.1027
_cell_length_b 7.5645
_cell_length_c 5.3832
_cell_angle_alpha 90.00
_cell_angle_beta 96.40
_cell_angle_gamma 90.00
loop_
_space_group_symop_operation_xyz
'x,y,z'
'-x,-y,-z'
'-x,y,-z'
'x,-y,z'
loop_
_atom_site_label
_atom_site_type_symbol
_atom_site_fract_x
_atom_site_fract_y
_atom_site_fract_z
_atom_site_occupancy
Ca1 Ca 0.0000 0.0000 0.0000 1
Sm1 Sm 0.5000 0.2475 0.5000 1
Pu1 Pu 0.0000 0.5000 0.0000 1
O1 O 0.0457 0.2916 0.7640 1
O2 O 0.4332 0.5000 0.2194 1
O3 O 0.4922 0.0000 0.2556 1
```

Most intense lines, 2θ = 10–80°, most intense first:
h k l, 2theta, I_rel
1 0 1, 28.93, 100.0
1 0 -1, 25.96, 43.1
0 1 0, 11.70, 31.9
1 2 0, 32.28, 30.9
1 2 -2, 45.29, 28.1
1 2 2, 49.08, 21.1
0 2 3, 57.13, 19.6
0 1 1, 20.33, 19.2
2 0 0, 44.44, 14.4
1 1 0, 24.81, 13.4

Please write out number 1 again, unchanged.
Diffraction record for CaPuSeO2. The XRD peak list is theoretical, not measured: it uses a structure optimized by DFT (PBE) and Cu Kα, 1.54184 Å.
Neutral-atom scattering factors, no anomalous dispersion.

```
data_CaPuSeO2
_space_group_name_H-M_alt 'I 4 m m'
_space_group_IT_number 107
_space_group_name_Hall 'I 4 -2'
_cell_length_a 3.8571
_cell_length_b 3.8571
_cell_length_c 12.1731
_cell_angle_alpha 90.00
_cell_angle_beta 90.00
_cell_angle_gamma 90.00
loop_
_atom_site_label
_atom_site_type_symbol
_atom_site_fract_x
_atom_site_fract_y
_atom_site_fract_z
_atom_site_occupancy
Ca1 Ca 0.0000 0.0000 0.0000 1
Pu1 Pu 0.0000 0.0000 0.3091 1
Se1 Se 0.0000 0.0000 0.6552 1
O1 O 0.0000 0.5000 0.3924 1
```

Most intense lines, 2θ = 10–80°, most intense first:
h k l, 2theta, I_rel
1 0 3, 32.01, 100.0
1 0 1, 24.21, 48.5
0 0 2, 14.55, 46.5
2 1 3, 58.12, 42.1
1 1 0, 32.84, 39.2
1 1 6, 56.53, 26.4
2 0 0, 47.12, 20.6
0 0 6, 44.63, 20.2
1 1 2, 36.09, 18.0
1 0 5, 43.98, 13.3

What did the first record say?
Diffraction record for CaPuSeO2. The XRD peak list is theoretical, not measured: it uses a structure optimized by DFT (PBE) and Cu Kα, 1.54184 Å.
Neutral-atom scattering factors, no anomalous dispersion.

```
data_CaPuSeO2
_space_group_name_H-M_alt 'I 4 m m'
_space_group_IT_number 107
_space_group_name_Hall 'I 4 -2'
_cell_length_a 3.8571
_cell_length_b 3.8571
_cell_length_c 12.1731
_cell_angle_alpha 90.00
_cell_angle_beta 90.00
_cell_angle_gamma 90.00
loop_
_atom_site_label
_atom_site_type_symbol
_atom_site_fract_x
_atom_site_fract_y
_atom_site_fract_z
_atom_site_occupancy
Ca1 Ca 0.0000 0.0000 0.0000 1
Pu1 Pu 0.0000 0.0000 0.3091 1
Se1 Se 0.0000 0.0000 0.6552 1
O1 O 0.0000 0.5000 0.3924 1
```

Most intense lines, 2θ = 10–80°, most intense first:
h k l, 2theta, I_rel
1 0 3, 32.01, 100.0
1 0 1, 24.21, 48.5
0 0 2, 14.55, 46.5
2 1 3, 58.12, 42.1
1 1 0, 32.84, 39.2
1 1 6, 56.53, 26.4